Assignment:
Duplicate the whole of the data below word for word.

Material:
........
Entry 1:
Starting from the PBE geometry in the Materials Project, the XRD peak list of ZnB3Ir4 was computed for λ = 1.5418 Å (Cu Kα).

Peak list (10 most intense, 5 to 70 degrees two-theta, by angle)
two_theta, intensity
30.42, 44
32.03, 55
32.38, 61
33.84, 52
35.04, 30
38.29, 48
39.13, 96
41.88, 82
46.86, 42
49.51, 100

abc: 2.815 2.845 23.504
angles: 90.00 90.00 90.00
Space group Pmmm (No. 47)
Asymmetric unit:
Zn 0.000 0.000 0.000 [1 per cell]
Zn 0.500 0.000 0.500 [1 per cell]
B 0.000 0.000 0.121 [2 per cell]
B 0.000 0.500 0.239 [2 per cell]
B 0.500 0.000 0.376 [2 per cell]
Ir 0.000 0.000 0.306 [2 per cell]
Ir 0.000 0.500 0.416 [2 per cell]
Ir 0.500 0.000 0.196 [2 per cell]
Ir 0.500 0.500 0.084 [2 per cell]

=====

Entry 2:
Starting from the PBE geometry in the Materials Project, the XRD peak list of Zn2CuAu was computed for λ = 1.5418 Å (Cu Kα).

Peak list (10 most intense, 5 to 70 degrees two-theta, by angle)
two_theta, intensity
24.81, 19
25.45, 23
27.44, 15
37.59, 16
38.32, 17
40.05, 37
42.80, 100
43.46, 34
56.63, 11
68.81, 13

abc: 4.503 5.561 4.697
angles: 90.00 90.00 90.00
Space group Pmmn (No. 59, origin choice 2)
Asymmetric unit:
Zn 0.250 0.000 0.181 [4 per cell]
Cu 0.250 0.250 0.686 [2 per cell]
Au 0.250 0.750 0.678 [2 per cell]

=====

Entry 3:
Starting from the PBE geometry in the Materials Project, the XRD peak list of CaSn4O8 was computed for λ = 1.5418 Å (Cu Kα).

Peak list (10 most intense, 5 to 70 degrees two-theta, by angle)
two_theta, intensity
11.05, 66
17.74, 87
28.21, 47
29.17, 81
31.94, 71
32.50, 100
33.21, 44
33.57, 43
45.85, 32
48.95, 36

abc: 15.322 3.281 10.020
angles: 90.00 126.93 90.00
Space group Cm (No. 8)
Asymmetric unit:
Ca 0.000 0.000 0.000 [2 per cell]
Sn 0.012 0.500 0.670 [2 per cell]
Sn 0.026 0.000 0.345 [2 per cell]
Sn 0.232 0.500 0.393 [2 per cell]
Sn 0.252 0.000 0.043 [2 per cell]
O 0.024 0.500 0.883 [2 per cell]
O 0.057 0.500 0.226 [2 per cell]
O 0.115 0.000 0.739 [2 per cell]
O 0.198 0.000 0.497 [2 per cell]
O 0.227 0.000 0.256 [2 per cell]
O 0.376 0.500 0.108 [2 per cell]
O 0.397 0.500 0.569 [2 per cell]
O 0.495 0.000 0.437 [2 per cell]

=====

Entry 4:
Starting from the PBE geometry in the Materials Project, the XRD peak list of NaSO4 was computed for λ = 1.5418 Å (Cu Kα).

Peak list (10 most intense, 5 to 70 degrees two-theta, by angle)
two_theta, intensity
19.02, 18
19.32, 64
24.71, 18
26.60, 100
27.31, 84
27.90, 75
30.51, 17
32.55, 21
37.33, 24
39.15, 33

abc: 4.878 5.713 6.195
angles: 101.55 103.10 97.66
Space group P-1 (No. 2)
Asymmetric unit:
Na 0.035 0.314 0.207 [2 per cell]
S 0.389 0.220 0.752 [2 per cell]
O 0.230 0.104 0.887 [2 per cell]
O 0.231 0.355 0.606 [2 per cell]
O 0.320 0.652 0.127 [2 per cell]
O 0.421 0.965 0.584 [2 per cell]

=====

Entry 5:
Starting from the PBE geometry in the Materials Project, the XRD peak list of SiO2 was computed for λ = 1.5418 Å (Cu Kα).

Peak list (10 most intense, 5 to 70 degrees two-theta, by angle)
two_theta, intensity
17.05, 10
21.44, 100
23.58, 31
32.08, 58
35.15, 20
43.68, 10
47.21, 9
53.35, 13
63.70, 10
68.04, 9

abc: 8.2888 8.2888 7.5469
angles: 90.00 90.00 120.00
Space group P-31c (No. 163)
Asymmetric unit:
Si 0.0605 0.3504 0.0726 [12 per cell]
O 0.0000 0.5000 0.0000 [6 per cell]
O 0.1435 0.3081 0.5883 [12 per cell]
O 0.1990 0.3981 0.2500 [6 per cell]

=====

Entry 6:
Starting from the PBE geometry in the Materials Project, the XRD peak list of AuSeCl7 was computed for λ = 1.5418 Å (Cu Kα).

Peak list (10 most intense, 5 to 70 degrees two-theta, by angle)
two_theta, intensity
11.05, 100
14.31, 92
14.75, 36
19.92, 48
20.63, 44
21.08, 29
22.17, 43
22.39, 24
29.88, 27
32.66, 50

abc: 9.077 10.506 13.049
angles: 90.00 108.47 90.00
Space group P2_1/c (No. 14)
Asymmetric unit:
Au 0.214 0.079 0.048 [4 per cell]
Se 0.233 0.720 0.997 [4 per cell]
Cl 0.057 0.240 0.948 [4 per cell]
Cl 0.102 0.607 0.856 [4 per cell]
Cl 0.164 0.543 0.389 [4 per cell]
Cl 0.272 0.201 0.202 [4 per cell]
Cl 0.277 0.571 0.123 [4 per cell]
........

Here it is:
Entry 1:
Starting from the PBE geometry in the Materials Project, the XRD peak list of ZnB3Ir4 was computed for λ = 1.5418 Å (Cu Kα).

Peak list (10 most intense, 5 to 70 degrees two-theta, by angle)
two_theta, intensity
30.42, 44
32.03, 55
32.38, 61
33.84, 52
35.04, 30
38.29, 48
39.13, 96
41.88, 82
46.86, 42
49.51, 100

abc: 2.815 2.845 23.504
angles: 90.00 90.00 90.00
Space group Pmmm (No. 47)
Asymmetric unit:
Zn 0.000 0.000 0.000 [1 per cell]
Zn 0.500 0.000 0.500 [1 per cell]
B 0.000 0.000 0.121 [2 per cell]
B 0.000 0.500 0.239 [2 per cell]
B 0.500 0.000 0.376 [2 per cell]
Ir 0.000 0.000 0.306 [2 per cell]
Ir 0.000 0.500 0.416 [2 per cell]
Ir 0.500 0.000 0.196 [2 per cell]
Ir 0.500 0.500 0.084 [2 per cell]

=====

Entry 2:
Starting from the PBE geometry in the Materials Project, the XRD peak list of Zn2CuAu was computed for λ = 1.5418 Å (Cu Kα).

Peak list (10 most intense, 5 to 70 degrees two-theta, by angle)
two_theta, intensity
24.81, 19
25.45, 23
27.44, 15
37.59, 16
38.32, 17
40.05, 37
42.80, 100
43.46, 34
56.63, 11
68.81, 13

abc: 4.503 5.561 4.697
angles: 90.00 90.00 90.00
Space group Pmmn (No. 59, origin choice 2)
Asymmetric unit:
Zn 0.250 0.000 0.181 [4 per cell]
Cu 0.250 0.250 0.686 [2 per cell]
Au 0.250 0.750 0.678 [2 per cell]

=====

Entry 3:
Starting from the PBE geometry in the Materials Project, the XRD peak list of CaSn4O8 was computed for λ = 1.5418 Å (Cu Kα).

Peak list (10 most intense, 5 to 70 degrees two-theta, by angle)
two_theta, intensity
11.05, 66
17.74, 87
28.21, 47
29.17, 81
31.94, 71
32.50, 100
33.21, 44
33.57, 43
45.85, 32
48.95, 36

abc: 15.322 3.281 10.020
angles: 90.00 126.93 90.00
Space group Cm (No. 8)
Asymmetric unit:
Ca 0.000 0.000 0.000 [2 per cell]
Sn 0.012 0.500 0.670 [2 per cell]
Sn 0.026 0.000 0.345 [2 per cell]
Sn 0.232 0.500 0.393 [2 per cell]
Sn 0.252 0.000 0.043 [2 per cell]
O 0.024 0.500 0.883 [2 per cell]
O 0.057 0.500 0.226 [2 per cell]
O 0.115 0.000 0.739 [2 per cell]
O 0.198 0.000 0.497 [2 per cell]
O 0.227 0.000 0.256 [2 per cell]
O 0.376 0.500 0.108 [2 per cell]
O 0.397 0.500 0.569 [2 per cell]
O 0.495 0.000 0.437 [2 per cell]

=====

Entry 4:
Starting from the PBE geometry in the Materials Project, the XRD peak list of NaSO4 was computed for λ = 1.5418 Å (Cu Kα).

Peak list (10 most intense, 5 to 70 degrees two-theta, by angle)
two_theta, intensity
19.02, 18
19.32, 64
24.71, 18
26.60, 100
27.31, 84
27.90, 75
30.51, 17
32.55, 21
37.33, 24
39.15, 33

abc: 4.878 5.713 6.195
angles: 101.55 103.10 97.66
Space group P-1 (No. 2)
Asymmetric unit:
Na 0.035 0.314 0.207 [2 per cell]
S 0.389 0.220 0.752 [2 per cell]
O 0.230 0.104 0.887 [2 per cell]
O 0.231 0.355 0.606 [2 per cell]
O 0.320 0.652 0.127 [2 per cell]
O 0.421 0.965 0.584 [2 per cell]

=====

Entry 5:
Starting from the PBE geometry in the Materials Project, the XRD peak list of SiO2 was computed for λ = 1.5418 Å (Cu Kα).

Peak list (10 most intense, 5 to 70 degrees two-theta, by angle)
two_theta, intensity
17.05, 10
21.44, 100
23.58, 31
32.08, 58
35.15, 20
43.68, 10
47.21, 9
53.35, 13
63.70, 10
68.04, 9

abc: 8.2888 8.2888 7.5469
angles: 90.00 90.00 120.00
Space group P-31c (No. 163)
Asymmetric unit:
Si 0.0605 0.3504 0.0726 [12 per cell]
O 0.0000 0.5000 0.0000 [6 per cell]
O 0.1435 0.3081 0.5883 [12 per cell]
O 0.1990 0.3981 0.2500 [6 per cell]

=====

Entry 6:
Starting from the PBE geometry in the Materials Project, the XRD peak list of AuSeCl7 was computed for λ = 1.5418 Å (Cu Kα).

Peak list (10 most intense, 5 to 70 degrees two-theta, by angle)
two_theta, intensity
11.05, 100
14.31, 92
14.75, 36
19.92, 48
20.63, 44
21.08, 29
22.17, 43
22.39, 24
29.88, 27
32.66, 50

abc: 9.077 10.506 13.049
angles: 90.00 108.47 90.00
Space group P2_1/c (No. 14)
Asymmetric unit:
Au 0.214 0.079 0.048 [4 per cell]
Se 0.233 0.720 0.997 [4 per cell]
Cl 0.057 0.240 0.948 [4 per cell]
Cl 0.102 0.607 0.856 [4 per cell]
Cl 0.164 0.543 0.389 [4 per cell]
Cl 0.272 0.201 0.202 [4 per cell]
Cl 0.277 0.571 0.123 [4 per cell]